Last Updated on November 7, 2022
Investing doesn’t need to be a business term. Investing, by definition, simply means to provide or endow someone with something. It could be as innocent as investing time into your job, or something more long-term such as investing money into your children. However, not all investments are made equal and there are times when you’ll want to invest a little more or a little less depending on what’s at stake. In order to help you make the right decisions, we’ve compiled a list of things that will undoubtedly become worthwhile investments in your life.
Records of crystals, kept here for reference
=====
GGA-PBE ZnCu2O4, optimized geometry; total moment = 0.076 μB/atom; space group = Cm, No. 8; volume = 442.1 Å³/cell; excess energy over the best structure of this formula in the dataset = 66 kJ/mol of formula units
1.0
5.126 -2.972 0.000
5.126 2.972 0.000
-0.077 0.000 14.510
Zn Cu O
6 12 24
Cartesian
0.000 0.000 0.000 Zn
1.648 0.000 12.084 Zn
3.332 0.000 4.231 Zn
3.368 0.000 9.661 Zn
5.094 0.000 7.263 Zn
8.527 0.000 2.396 Zn
-0.012 0.000 5.439 Cu
4.210 1.487 12.085 Cu
5.969 1.482 2.407 Cu
3.450 0.000 0.605 Cu
7.651 1.482 7.254 Cu
6.726 0.000 13.857 Cu
4.210 -1.487 12.085 Cu
6.810 0.000 4.830 Cu
6.819 0.000 10.301 Cu
5.969 -1.482 2.407 Cu
10.172 0.000 9.062 Cu
7.651 -1.482 7.254 Cu
0.072 0.000 3.500 O
2.640 1.420 10.967 O
4.112 1.442 8.375 O
1.674 0.000 1.314 O
1.687 0.000 8.392 O
4.396 1.541 1.302 O
5.784 1.555 13.202 O
3.302 0.000 6.225 O
3.415 0.000 13.207 O
6.112 1.377 6.037 O
5.015 0.000 10.964 O
2.640 -1.420 10.967 O
7.510 1.354 3.590 O
5.212 0.000 3.568 O
4.112 -1.442 8.375 O
6.754 0.000 1.269 O
6.887 0.000 8.340 O
4.396 -1.541 1.302 O
8.445 0.000 6.037 O
6.112 -1.377 6.037 O
5.784 -1.555 13.202 O
8.530 0.000 13.200 O
7.510 -1.354 3.590 O
10.128 0.000 10.966 O



GGA-PBE ZnCuO2, optimized geometry; calculated total energy = -0.341 Ry/atom; total moment = 0.002 μB/atom; space group = P1, No. 1; volume = 192.3 Å³/cell
1.0
2.945 0.000 0.000
-0.509 8.083 0.000
-1.308 -0.214 8.076
Zn Cu O
4 4 8
Cartesian
0.000 0.000 0.000 Zn
-0.759 6.334 5.359 Zn
0.187 2.805 7.161 Zn
1.335 1.246 4.435 Zn
-0.646 3.876 4.202 Cu
0.067 2.211 1.696 Cu
0.717 7.123 2.731 Cu
1.293 5.461 0.303 Cu
-1.323 3.887 8.012 O
-0.750 7.814 3.952 O
-0.105 2.244 5.356 O
-0.372 6.868 7.153 O
1.533 1.509 0.493 O
0.758 5.199 4.546 O
1.547 2.648 2.891 O
2.190 6.674 1.528 O



GGA-PBE ZnCu2O4, optimized geometry; total moment = 0.000 μB/atom; space group = Cmcm, No. 63; volume = 133.9 Å³/cell; excess energy over the best structure of this formula in the dataset = 80 kJ/mol of formula units
1.0
1.469 -4.836 0.000
1.469 4.836 0.000
0.000 0.000 9.425
Zn Cu O
2 4 8
Cartesian
1.469 3.779 7.069 Zn
1.469 -3.779 2.356 Zn
1.469 1.272 5.369 Cu
1.469 1.272 8.769 Cu
1.469 -1.272 0.656 Cu
1.469 -1.272 4.056 Cu
0.000 0.000 0.000 O
0.000 0.000 4.713 O
1.469 2.147 1.060 O
1.469 2.147 3.653 O
1.469 0.393 7.069 O
1.469 -0.393 2.356 O
1.469 -2.147 5.772 O
1.469 -2.147 8.366 O



GGA-PBE ZnCu2O4, optimized geometry; space group = I4_1/amd, No. 141; volume = 162.7 Å³/cell; excess energy over the best structure of this formula in the dataset = 0 kJ/mol of formula units
1.0
-2.737 2.737 5.427
2.737 -2.737 5.427
2.737 2.737 -5.427
Zn Cu O
2 4 8
Cartesian
2.737 1.369 1.357 Zn
0.000 1.369 4.070 Zn
0.000 0.000 0.000 Cu
1.369 1.369 -2.713 Cu
1.369 -1.369 2.713 Cu
0.000 2.737 0.000 Cu
2.737 -0.123 2.675 O
2.737 2.615 -2.675 O
1.246 1.369 0.039 O
1.491 -1.369 5.465 O
1.246 4.106 -0.039 O
1.491 1.369 5.388 O
0.000 0.123 8.101 O
0.000 2.860 2.752 O
=====
Mental Health
Mental health sounds more daunting than it is, but it usually just relates to your attitude towards life. Mental health has a lot to do with your happiness, but in some cases, it can relate to stress, depression or anxiety. Investing in your mental health means finding ways to combat these downsides, especially for when you get older. For instance, you could surround yourself with positive friends instead of people that are always negative, you could practice meditation for when you feel stressed out, and you can find ways to distract yourself and stay happy.
House Renovations
There are plenty of reasons to remodel, but one of the most common is to improve your lifestyle. For instance, if you’ve got a kitchen that hasn’t been fixed up for several years, then you might find it difficult to cook the meals you want. You might find that your appliances aren’t high enough quality, or that your fridge is becoming faulty. Perhaps some rooms in your house just don’t look very nice anymore and you want to improve them for when you have guests come over, or maybe you just need help with major repairs.
Your Appearance
Your appearance has a huge impact on your confidence, and it’s not uncommon to want to improve it for both health reasons and personal reasons. Investing in your appearance means going on a healthy diet, practising a proper skincare routine and exercising enough to keep your body looking fit and lean. The investment usually comes in the form of time and effort, but money can also be a factor if you want to get a gym subscription or buy products to keep your body healthy.
Home Skills
Home skills can range from gardening to grow your own plants and produce or DIY skills to help you fix basic things around the house. Investing some time into learning how to be handier around the house can save you a lot of money in the future, and it’s never a bad idea to learn how to become more self-sufficient.
Social Networking
Thanks to the internet, it’s even easier to connect with people and make more friends. You can share pictures, videos, messages and even watch films together over the internet. Thanks to technology, social networking is becoming more and more common, and making new friends and connections is never a bad idea. Investing your time into building friendships can open up many opportunities in the future, and it’s worth every bit of effort.